== Contents ==
____________
Entry 1:
The following is a simulated X-ray diffraction stick pattern of ThCdPt2. It was derived from DFT lattice parameters and positions (PBE), using Cu Kα (weighted mean of Kα1 and Kα2).

Largest 10 diffraction maxima, in order of falling intensity, 2θ from 10° to 90°:
36.3 deg, rel. 100; 65.4 deg, rel. 37; 52.3 deg, rel. 18; 88.4 deg, rel. 17; 77.1 deg, rel. 11; 22.0 deg, rel. 5; 42.9 deg, rel. 3; 57.4 deg, rel. 1; 81.4 deg, rel. 1; 69.9 deg, rel. 1

Cell and atoms:
```
data_ThCdPt2
_space_group_name_H-M_alt 'F m -3 m'
_space_group_IT_number 225
_space_group_name_Hall '-F 4 2 3'
_cell_length_a 6.9942
_cell_length_b 6.9942
_cell_length_c 6.9942
_cell_angle_alpha 90.00
_cell_angle_beta 90.00
_cell_angle_gamma 90.00
loop_
_atom_site_label
_atom_site_type_symbol
_atom_site_fract_x
_atom_site_fract_y
_atom_site_fract_z
Th1 Th 0.0000 0.0000 0.0000
Cd1 Cd 0.0000 0.0000 0.5000
Pt1 Pt 0.2500 0.2500 0.2500
```

Entry 2:
The following is a simulated X-ray diffraction stick pattern of TmCdPt2. It was derived from DFT lattice parameters and positions (PBE), using Cu Kα (weighted mean of Kα1 and Kα2).

Largest 10 diffraction maxima, in order of falling intensity, 2θ from 10° to 90°:
37.7 deg, rel. 100; 68.1 deg, rel. 36; 54.4 deg, rel. 17; 80.6 deg, rel. 11; 26.4 deg, rel. 3; 22.8 deg, rel. 1; 61.5 deg, rel. 1; 46.7 deg, rel. 1; 44.6 deg, rel. 1; 86.6 deg, rel. 1

Cell and atoms:
```
data_TmCdPt2
_space_group_name_H-M_alt 'F m -3 m'
_space_group_IT_number 225
_space_group_name_Hall '-F 4 2 3'
_cell_length_a 6.7441
_cell_length_b 6.7441
_cell_length_c 6.7441
_cell_angle_alpha 90.00
_cell_angle_beta 90.00
_cell_angle_gamma 90.00
loop_
_atom_site_label
_atom_site_type_symbol
_atom_site_fract_x
_atom_site_fract_y
_atom_site_fract_z
Tm1 Tm 0.0000 0.0000 0.0000
Cd1 Cd 0.0000 0.0000 0.5000
Pt1 Pt 0.2500 0.2500 0.2500
```

Entry 3:
The following is a simulated X-ray diffraction stick pattern of Y4CdPt. It was derived from DFT lattice parameters and positions (PBE), using Cu Kα (weighted mean of Kα1 and Kα2).

Largest 10 diffraction maxima, in order of falling intensity, 2θ from 10° to 90°:
33.8 deg, rel. 100; 36.9 deg, rel. 37; 56.7 deg, rel. 30; 31.8 deg, rel. 27; 22.4 deg, rel. 22; 11.1 deg, rel. 19; 38.7 deg, rel. 14; 58.0 deg, rel. 14; 70.8 deg, rel. 13; 67.7 deg, rel. 12

Cell and atoms:
```
data_Y4CdPt
_space_group_name_H-M_alt 'F -4 3 m'
_space_group_IT_number 216
_space_group_name_Hall 'F -4 2 3'
_cell_length_a 13.7719
_cell_length_b 13.7719
_cell_length_c 13.7719
_cell_angle_alpha 90.00
_cell_angle_beta 90.00
_cell_angle_gamma 90.00
loop_
_atom_site_label
_atom_site_type_symbol
_atom_site_fract_x
_atom_site_fract_y
_atom_site_fract_z
Y1 Y 0.0000 0.0000 0.1847
Y2 Y 0.0605 0.2500 0.7500
Y3 Y 0.1025 0.1025 0.3975
Cd1 Cd 0.1681 0.1681 0.1681
Pt1 Pt 0.1067 0.1067 0.6067
```

Entry 4:
The following is a simulated X-ray diffraction stick pattern of YCdPt2. It was derived from DFT lattice parameters and positions (PBE), using Cu Kα (weighted mean of Kα1 and Kα2).

Largest 8 diffraction maxima, in order of falling intensity, 2θ from 10° to 90°:
37.4 deg, rel. 100; 67.4 deg, rel. 35; 53.9 deg, rel. 17; 79.7 deg, rel. 11; 26.2 deg, rel. 11; 60.9 deg, rel. 5; 46.2 deg, rel. 4; 85.6 deg, rel. 3

Cell and atoms:
```
data_YCdPt2
_space_group_name_H-M_alt 'F m -3 m'
_space_group_IT_number 225
_space_group_name_Hall '-F 4 2 3'
_cell_length_a 6.8069
_cell_length_b 6.8069
_cell_length_c 6.8069
_cell_angle_alpha 90.00
_cell_angle_beta 90.00
_cell_angle_gamma 90.00
loop_
_atom_site_label
_atom_site_type_symbol
_atom_site_fract_x
_atom_site_fract_y
_atom_site_fract_z
Y1 Y 0.0000 0.0000 0.0000
Cd1 Cd 0.0000 0.0000 0.5000
Pt1 Pt 0.2500 0.2500 0.2500
```

Entry 5:
The following is a simulated X-ray diffraction stick pattern of PuCd11. It was derived from DFT lattice parameters and positions (PBE), using Cu Kα (weighted mean of Kα1 and Kα2).

Largest 10 diffraction maxima, in order of falling intensity, 2θ from 10° to 90°:
____________

== Assignment ==
Write out every line earlier on that contains the word "was".

== Worked solution ==
The following is a simulated X-ray diffraction stick pattern of ThCdPt2. It was derived from DFT lattice parameters and positions (PBE), using Cu Kα (weighted mean of Kα1 and Kα2).
The following is a simulated X-ray diffraction stick pattern of TmCdPt2. It was derived from DFT lattice parameters and positions (PBE), using Cu Kα (weighted mean of Kα1 and Kα2).
The following is a simulated X-ray diffraction stick pattern of Y4CdPt. It was derived from DFT lattice parameters and positions (PBE), using Cu Kα (weighted mean of Kα1 and Kα2).
The following is a simulated X-ray diffraction stick pattern of YCdPt2. It was derived from DFT lattice parameters and positions (PBE), using Cu Kα (weighted mean of Kα1 and Kα2).
The following is a simulated X-ray diffraction stick pattern of PuCd11. It was derived from DFT lattice parameters and positions (PBE), using Cu Kα (weighted mean of Kα1 and Kα2).